**To do**
It remains to search the lines underneath for the word "with" and type out each line that has it.

**Excerpt**
********
w:
DFT (PBE with a Hubbard U) results for a geometry-optimized MgCrSi2O6 structure.

The structure in POSCAR format:
```
MgCrSi2O6
1.0
-1.8570 -1.0800 -9.1253
-3.2208 -4.1559 1.1473
-8.3038 4.5656 1.1495
Mg Cr Si O
4 4 8 24
Direct
0.0022 0.4884 0.2475
0.9978 0.5116 0.7525
0.5022 0.0116 0.7525
0.4978 0.9884 0.2475
0.3515 0.4881 0.2520
0.6485 0.5119 0.7480
0.8515 0.0119 0.7480
0.1485 0.9881 0.2520
0.8383 0.2393 0.0454
0.1617 0.7607 0.9546
0.3383 0.2607 0.9546
0.6617 0.7393 0.0454
0.1628 0.2188 0.5464
0.8372 0.7812 0.4536
0.6628 0.2812 0.4536
0.3372 0.7188 0.5464
0.9897 0.2264 0.1259
0.0103 0.7736 0.8741
0.4897 0.2736 0.8741
0.5103 0.7264 0.1259
0.3473 0.2090 0.1294
0.6527 0.7910 0.8706
0.8473 0.2910 0.8706
0.1527 0.7090 0.1294
0.2775 0.4249 0.5927
0.7225 0.5751 0.4073
0.7775 0.0751 0.4073
0.2225 0.9249 0.5927
0.1504 0.2732 0.3709
0.8496 0.7268 0.6291
0.6504 0.2268 0.6291
0.3496 0.7732 0.3709
0.7589 0.4833 0.0986
0.2411 0.5167 0.9014
0.2589 0.0167 0.9014
0.7411 0.9833 0.0986
0.5183 0.2466 0.3682
0.4817 0.7534 0.6318
0.0183 0.2534 0.6318
0.9817 0.7466 0.3682
```

Output
- symmetry = P2_1/c, No. 14

=====

x:
DFT (PBE with a Hubbard U) results for a geometry-optimized MgCrSi2O6 structure.

The structure in POSCAR format:
```
MgCrSi2O6
1.0
-0.2975 0.0000 5.3828
-4.7550 4.5228 1.5175
-4.7550 -4.5228 1.5175
Mg Cr Si O
2 2 4 12
Direct
0.2500 0.5968 0.4032
0.7500 0.4032 0.5968
0.7501 0.7673 0.2325
0.2499 0.2327 0.7675
0.2739 0.1168 0.2941
0.7261 0.8832 0.7059
0.2261 0.7059 0.8832
0.7740 0.2941 0.1168
0.9348 0.8531 0.8552
0.0652 0.1470 0.1449
0.5652 0.1449 0.1469
0.4348 0.8552 0.8530
0.1525 0.2937 0.4668
0.8476 0.7063 0.5332
0.3476 0.5332 0.7063
0.6524 0.4668 0.2938
0.3500 0.8778 0.3718
0.6500 0.1222 0.6282
0.1499 0.6282 0.1222
0.8501 0.3718 0.8778
```

Output
- symmetry = C2/c, No. 15

=====

Last place for stability: w

----------

Here is a geometry-optimized NiP2O7 structure from the Materials Project database. Energies are from GGA+U.

Values from the calculation:
For the energy of formation, the calculation gives -1.840 eV per atom. The value obtained for the relative energy among the computed polymorphs is 158.5 meV per atom. As for the magnetic moment: 0.0 μB/cell. The crystal system is triclinic. For the calculated volume, the calculation gives 269.8 Å³ per cell. The space group is P-1 (2). The calculation puts the energy at -0.4578 Ry per atom.

a = 5.092 Å, b = 6.817 Å, c = 8.393 Å
α = 68.00°, β = 87.33°, γ = 87.76°
Element x y z (fractional)
Ni 0.247 0.210 0.228
Ni 0.753 0.790 0.772
P 0.246 0.110 0.672
P 0.282 0.453 0.807
P 0.718 0.547 0.193
P 0.754 0.890 0.328
O 0.046 0.934 0.281
O 0.105 0.649 0.733
O 0.176 0.291 0.975
O 0.292 0.346 0.664
O 0.294 0.123 0.487
O 0.434 0.958 0.796
O 0.436 0.484 0.182
O 0.564 0.516 0.818
O 0.566 0.042 0.204
O 0.706 0.877 0.513
O 0.708 0.654 0.336
O 0.824 0.709 0.025
O 0.895 0.351 0.267
O 0.954 0.066 0.719

Here is a geometry-optimized NiP4O12 structure from the Materials Project database. Energies are from GGA+U.

Values from the calculation:
For the energy of formation, the calculation gives -2.186 eV per atom. The value obtained for the relative energy among the computed polymorphs is 0.0 meV per atom. As for the magnetic moment: 8.0 μB/cell. The crystal system is monoclinic. For the calculated volume, the calculation gives 547.7 Å³ per cell. The space group is C2/m (12). The calculation puts the energy at -0.4894 Ry per atom.

a = 10.617 Å, b = 10.617 Å, c = 5.175 Å
α = 97.22°, β = 97.22°, γ = 71.90°
Element x y z (fractional)
Ni 0.000 0.500 0.000
Ni 0.500 0.000 0.000
P 0.144 0.704 0.823
P 0.197 0.438 0.529
P 0.296 0.856 0.177
P 0.438 0.197 0.529
P 0.562 0.803 0.471
P 0.704 0.144 0.823
P 0.803 0.562 0.471
P 0.856 0.296 0.177
O 0.057 0.668 0.992
O 0.071 0.822 0.669
O 0.102 0.410 0.683
O 0.171 0.430 0.235
O 0.178 0.929 0.331
O 0.221 0.579 0.637
O 0.273 0.727 0.000
O 0.332 0.943 0.008
O 0.346 0.346 0.603
O 0.410 0.102 0.683
O 0.421 0.779 0.363
O 0.430 0.171 0.235
O 0.570 0.829 0.765
********

**Here it is**
DFT (PBE with a Hubbard U) results for a geometry-optimized MgCrSi2O6 structure.
DFT (PBE with a Hubbard U) results for a geometry-optimized MgCrSi2O6 structure.